Intuition training | Embodied Alchemy |  Dream Actualization

A place where joy rises, hearts open, and life takes on its brightest hues.

Let my words find you where you are.

Grand Risings  !  

How are you gorgeous one?  

Yesterday I enjoyed some much needed beach time with four dear girlfriends and it felt so yummy to talk about Nigeria & Orixás & Kemet & pleasure & laugh in the sea & enjoy a sunset with a fresh lemonade in my hand! Then tonight, I awoke with some intuitive wisdom and knew to do some of my HPC (Holistic Pelvic Care) womb blessing on the world… 

Like you, I’ve had many moments where I ignored my intuition and paid for it with missed opportunities or scary encounters or uncomfortable conflicts. 

But not anymore!

Now, no matter how weirdly fantastic, I follow that intuition! 

Why didn’t I just listen to my intuition? 

Maybe because I was raised by a rockstar scientist Dad(j) who trained me to follow my analytical, rational mind at all times… plus who told me (along with my Superstar language teach Mamãe) aged four that I would go to university (because both of them were the first to do so and I would follow in their footsteps) and in fact… studying Politics & Sociology at Leeds university whilst very interesting, was counter to my intuition (that was telling me to become a dancer despite having no previous experience… and we all know how that eventually turned out!) 

Maybe I didn’t listen because we live in a confusing, busy, overwhelming world full of so many messages, social media, adverts selling us the lifestyle we want, even films with the same happy endings… not to mention all the bad news of the world… it’s not surprising we live in fear: the world can be a scary place! 

It can be hard to hear that quiet voice of inner tuition… to listen to the whisper that is actually our superpower and to change those beliefs and unstick all the stuck-ness… 

That’s why I’m so excited to invite you to join me (and the many who’ve already signed up) for my brand new 7-week online course, Embodied Alchemy, which will offer Meditations to reclaim your confidence and vitality, Movements to clear your energy, Manifestation tips to live super consciously and connect to your JOY! 

It starts on the 22nd September, and if you sign up for this free moving meditation, well in a few days time we will give you a HUGE discount on the course. 

We’ll be delving into the core blocks that keep most of us from listening to (and benefitting from) using our intuitive wisdom, and I will be helping you to uncover and break through your own personal obstacles, so you have the inner strength and belief to go for what you would love (plus I will be offering some really beautiful tools to stretch our intuitive muscle and create structure, so the logistics and the ‘how to’ don’t get in the way of us living in flow)… and all that in a beautiful high vibe community! 

Even if you have done a lot of studying, practicing, and healing, we all have work to do to evolve and grow the intuition we need to navigate specific areas of our lives. 

When you unblock your intuition, you become more aware, more confident, and more empowered in your life.  

You trust yourself (no matter how strange!), and life’s beautiful unfoldings much more, and experience a life of synchronicity. joy and magic! 

Embodied Alchemy (that starts 22nd September and runs for 7 weeks) will help you to upgrade your intuitive wisdom easily and quickly, and we will have great fun with like minded creative people while we are doing it. 

So, in a world full of opportunities and so much awaiting your attention, I invite you to take a deep breath, to close your eyes right now, and ask your inner wisdom: and see if it says “yes” to this powerful opportunity to learn how to access your greatest gift… 

Is it YES to removing the remaining blocks to your intuitive superpowers? 

Is it YES, I would love to experience a high vibe, energy clearing moving meditation every week for 7 weeks to jumpstart my intuition! 

Is it YES, I could really benefit from setting aside one hour a week for 7 weeks to attend a live to talk intuition directly with you Maya (and give myself this opportunity for a life-changing upgrade in every area of my life!) 


Okay, you got it. Click here to sign up for Embodied Alchemy (And don’t forget there is that huge discount opportunity at this link too). 

Someone pasted quantum chemistry results at this point >
********
# C3H5O4Yb

A molecular structure, C3H5O4Yb (ωB97M-V with the def2-TZVPD basis set, OMol25).

Properties
* frontier orbital gap: 7.542 eV
* ΔE to the lowest compared entry with this formula, charge and spin: 49.22 kJ/mol
* HOMO level: -0.470 Ha

```
! wB97M-V def2-TZVPD RIJCOSX def2/J DEFGRID3
* xyz 1 1
O 1.375 -2.454 -0.315
C 0.600 -1.786 0.313
C 1.794 0.054 -1.842
O 0.058 -1.919 1.450
O 0.158 -0.504 -0.185
C 0.544 0.046 -1.397
H 1.976 0.345 -2.876
H 2.638 -0.253 -1.227
H -0.307 0.454 -1.942
H -2.352 2.474 1.401
O -2.327 1.752 2.054
H -2.938 1.973 2.768
Yb -1.218 -0.182 1.800
*
```

Here are the Mulliken charges for atoms 1 to 8, given in e: atom 1 (O): -0.479, atom 2 (C): 0.745, atom 3 (C): -0.630, atom 4 (O): -0.704, atom 5 (O): -0.318, atom 6 (C): 0.055, atom 7 (H): 0.254, atom 8 (H): 0.240

# C3H3NO2S

A single C3H3NO2S molecule (ωB97M-V with the def2-TZVPD basis set, OMol25).

Properties
* frontier orbital gap: 9.114 eV
* ΔE to the lowest compared entry with this formula, charge and spin: 434.19 kJ/mol
* HOMO level: -0.334 Ha
* SMILES: O=C=CS/C=N\O

```
! wB97M-V def2-TZVPD RIJCOSX def2/J DEFGRID3
* xyz 0 1
C -1.195 -0.113 -0.542
C 1.390 -0.707 -0.703
C 2.037 0.074 -1.534
N -2.123 0.707 -0.319
O -2.261 1.450 0.793
O 2.622 0.640 -2.359
S 0.184 -0.593 0.612
H -1.285 -0.811 -1.351
H 1.954 -1.659 -0.626
H -1.586 1.215 1.431
*
```

Here are the Mulliken charges for atoms 1 to 8, given in e: atom 1 (C): -0.082, atom 2 (C): -0.837, atom 3 (C): 0.942, atom 4 (N): -0.268, atom 5 (O): -0.275, atom 6 (O): -0.331, atom 7 (S): -0.145, atom 8 (H): 0.433

# C46H36BrIN6O4SeSn

A molecular structure, C46H36BrIN6O4SeSn (ωB97M-V with the def2-TZVPD basis set, OMol25).

Properties
* frontier orbital gap: 5.273 eV
* ΔE to the lowest compared entry with this formula, charge and spin: 62.85 kJ/mol
* HOMO level: -0.052 Ha

```
! wB97M-V def2-TZVPD RIJCOSX def2/J DEFGRID3
* xyz -2 1
Sn 0.118 0.483 0.026
C -2.430 -3.609 0.584
C -3.442 -2.513 0.640
N -4.634 -2.767 1.106
C -5.528 -1.769 1.178
C -5.286 -0.490 0.743
C -6.332 0.572 0.949
O -5.861 1.709 1.655
C -4.015 -0.176 0.199
C -3.756 1.133 -0.293
N -2.598 1.650 -0.527
C -2.518 2.990 -0.817
C -3.297 3.914 -0.104
C -3.203 5.268 -0.330
C -2.318 5.750 -1.278
C -1.525 4.863 -1.986
C -1.620 3.508 -1.751
I -0.379 2.220 -2.900
C -3.020 -1.214 0.159
O -1.872 -1.058 -0.314
H -2.886 -4.563 0.839
H -1.614 -3.393 1.274
H -1.999 -3.639 -0.417
H -6.485 -2.042 1.608
H -7.178 0.133 1.501
H -6.717 0.939 -0.012
H -5.080 1.441 2.153
H -4.645 1.744 -0.500
H -3.966 3.542 0.658
H -3.815 5.948 0.246
H -2.229 6.809 -1.463
H -0.817 5.235 -2.707
N 0.932 -3.694 -3.427
C 0.020 -2.772 -3.893
C -0.230 -2.679 -5.271
C -1.193 -1.786 -5.700
C -1.880 -1.028 -4.761
C -1.560 -1.206 -3.423
N -0.638 -2.045 -3.005
C 1.170 -3.976 -2.085
C 1.499 -5.286 -1.717
C 1.688 -5.555 -0.374
C 1.562 -4.524 0.543
C 1.285 -3.250 0.065
N 1.093 -2.985 -1.213
H 1.220 -4.401 -4.088
H 0.308 -3.300 -5.975
H -1.421 -1.692 -6.754
H -2.644 -0.329 -5.063
H -2.067 -0.674 -2.633
********
The quantum chemistry results stop here >

See you on the 22nd!